### File
┌──
# 1
Material: RuRh
Method: DFT, PBE
State: optimized geometry

The structure in POSCAR format:
```
RuRh
1.0
3.792 0.000 0.000
-1.896 3.284 0.000
0.000 0.000 5.343
Ru Rh
2 2
direct
0.333 0.667 0.250
0.667 0.333 0.750
0.000 0.000 0.000
0.000 0.000 0.500
```

Computed properties:
E_tot = -7.4418 eV per atom
Magnetic moment = 0.39 μB per atom
SG = P6_3/mmc (194)
Energy of formation = 0.87 eV per atom



# 2
Material: RbZrTl
Method: DFT, PBE
State: optimized geometry

The structure in POSCAR format:
```
RbZrTl
1.0
3.219 -3.764 0.000
3.219 3.764 0.000
0.000 0.000 9.131
Rb Zr Tl
2 2 2
direct
0.250 0.750 0.864
0.750 0.250 0.136
0.250 0.250 0.500
0.750 0.750 0.500
0.250 0.750 0.315
0.750 0.250 0.685
```

Computed properties:
Offset from the most stable computed form = 210.7 meV/atom
E_tot = -3.6847 eV per atom
Magnetic moment = 0.00 μB per atom
SG = Cmme (67)
Energy of formation = 0.28 eV per atom



# 3
Material: B3AsRh
Method: DFT, PBE
State: optimized geometry

The structure in POSCAR format:
```
B3AsRh
1.0
4.041 0.000 0.000
0.000 4.041 0.000
0.000 0.000 4.041
B As Rh
3 1 1
direct
0.000 0.000 0.500
0.000 0.500 0.000
0.500 0.000 0.000
0.000 0.000 0.000
0.500 0.500 0.500
```

Computed properties:
Offset from the most stable computed form = 655.2 meV/atom
E_tot = -4.4513 eV per atom
Magnetic moment = 0.00 μB per atom
SG = Pm-3m (221)
Energy of formation = 1.96 eV per atom


(1)
13
Lattice="6.781 -5.911 0.000 6.781 5.911 0.000 -2.477 0.000 5.648" Properties=species:S:1:pos:R:3 comment="Pr8Sm2Tm3 (PBE, relaxed)" rho_g_cm3=7.1 formation_energy_ev_per_atom=0.15 relative_energy_mev_per_atom=0 space_group=C2/m pbc="T T T"
Pr 0.528 0.000 1.457
Pr 2.508 2.810 4.786
Pr 3.950 0.000 2.190
Pr 8.577 2.810 0.862
Pr 2.508 -2.810 4.786
Pr 7.135 0.000 3.459
Pr 8.577 -2.810 0.862
Pr 10.557 0.000 4.192
Sm 0.474 0.000 4.708
Sm 10.611 0.000 0.940
Tm 5.543 3.158 2.824
Tm 6.781 0.000 0.000
Tm 5.543 -3.158 2.824

(2)
10
Lattice="5.816 -3.403 0.000 5.816 3.403 0.000 -2.885 0.000 8.776" Properties=species:S:1:pos:R:3 comment="Pr3Sm6Tm (PBE, relaxed)" rho_g_cm3=7.1 formation_energy_ev_per_atom=0.22 relative_energy_mev_per_atom=82 space_group=C2/m pbc="T T T"
Pr 0.000 0.000 0.000
Pr -1.068 0.000 5.877
Pr 9.815 0.000 2.898
Sm 1.612 1.759 6.114
Sm 4.131 0.000 0.720
Sm 7.135 1.759 2.662
Sm 1.612 -1.759 6.114
Sm 4.616 0.000 8.056
Sm 7.135 -1.759 2.662
Tm 4.373 0.000 4.388

(3)
19
Lattice="7.932 -4.658 0.000 7.932 4.658 0.000 -0.127 0.000 8.659" Properties=species:S:1:pos:R:3 comment="Pr2Sm12Tm5 (PBE, relaxed)" rho_g_cm3=7.6 formation_energy_ev_per_atom=0.13 relative_energy_mev_per_atom=16 space_group=C2/m pbc="T T T"
Pr 7.932 2.999 0.000
Pr 7.932 -2.999 0.000
Sm 0.963 0.000 2.905
Sm 5.895 2.862 2.951
Sm 5.361 1.683 6.589
Sm 9.842 2.862 5.708
Sm 6.465 0.000 1.022
Sm 10.376 1.683 2.071
Sm 5.361 -1.683 6.589
Sm 9.272 0.000 7.638
Sm 5.895 -2.862 2.951
Sm 10.376 -1.683 2.071
Sm 9.842 -2.862 5.708
Sm 14.774 0.000 5.754
Tm 3.148 0.000 0.141
Tm 4.226 0.000 3.708
Tm 7.869 0.000 4.330
Tm 11.511 0.000 4.952
Tm 12.589 0.000 8.519

(4)
14
Lattice="6.233 0.000 0.000 0.000 6.689 0.000 -2.774 0.000 11.401" Properties=species:S:1:pos:R:3 comment="Pr2Sm4Tm (PBE, relaxed)" rho_g_cm3=7.4 formation_energy_ev_per_atom=0.12 relative_energy_mev_per_atom=0 space_group=P2_1/m pbc="T T T"
Pr -0.708 1.672 5.621
Pr 1.113 1.672 0.865
Pr 2.346 5.017 10.536
Pr 4.167 5.017 5.781
Sm -1.255 0.067 8.957
Sm -1.255 3.278 8.957
Sm 2.043 5.017 0.585
Sm 1.144 5.017 7.279
Sm 2.315 1.672 4.123
Sm 1.416 1.672 10.816
Sm 4.714 3.412 2.445
Sm 4.714 6.622 2.445
Tm 1.285 5.017 3.857
Tm 2.175 1.672 7.544

(5)
19
Lattice="12.847 -5.142 0.000 12.847 5.142 0.000 -1.036 0.000 5.064" Properties=species:S:1:pos:R:3 comment="Pr5Sm12Tm2 (PBE, relaxed)" rho_g_cm3=7.1 formation_energy_ev_per_atom=0.11 relative_energy_mev_per_atom=0 space_group=C2/m pbc="T T T"
Pr 0.000 0.000 0.000
Pr 4.887 0.000 1.004
Pr 6.923 0.000 4.059
Pr 17.734 0.000 1.005
Pr 19.771 0.000 4.060
Sm 7.488 2.543 1.537
Sm 1.924 0.000 3.034
└──

### Request
The reader should find "0.87 eV" and "12.589 0.000" in the lines further up, and print these two lines and those between.

### Response
Energy of formation = 0.87 eV per atom



# 2
Material: RbZrTl
Method: DFT, PBE
State: optimized geometry

The structure in POSCAR format:
```
RbZrTl
1.0
3.219 -3.764 0.000
3.219 3.764 0.000
0.000 0.000 9.131
Rb Zr Tl
2 2 2
direct
0.250 0.750 0.864
0.750 0.250 0.136
0.250 0.250 0.500
0.750 0.750 0.500
0.250 0.750 0.315
0.750 0.250 0.685
```

Computed properties:
Offset from the most stable computed form = 210.7 meV/atom
E_tot = -3.6847 eV per atom
Magnetic moment = 0.00 μB per atom
SG = Cmme (67)
Energy of formation = 0.28 eV per atom



# 3
Material: B3AsRh
Method: DFT, PBE
State: optimized geometry

The structure in POSCAR format:
```
B3AsRh
1.0
4.041 0.000 0.000
0.000 4.041 0.000
0.000 0.000 4.041
B As Rh
3 1 1
direct
0.000 0.000 0.500
0.000 0.500 0.000
0.500 0.000 0.000
0.000 0.000 0.000
0.500 0.500 0.500
```

Computed properties:
Offset from the most stable computed form = 655.2 meV/atom
E_tot = -4.4513 eV per atom
Magnetic moment = 0.00 μB per atom
SG = Pm-3m (221)
Energy of formation = 1.96 eV per atom


(1)
13
Lattice="6.781 -5.911 0.000 6.781 5.911 0.000 -2.477 0.000 5.648" Properties=species:S:1:pos:R:3 comment="Pr8Sm2Tm3 (PBE, relaxed)" rho_g_cm3=7.1 formation_energy_ev_per_atom=0.15 relative_energy_mev_per_atom=0 space_group=C2/m pbc="T T T"
Pr 0.528 0.000 1.457
Pr 2.508 2.810 4.786
Pr 3.950 0.000 2.190
Pr 8.577 2.810 0.862
Pr 2.508 -2.810 4.786
Pr 7.135 0.000 3.459
Pr 8.577 -2.810 0.862
Pr 10.557 0.000 4.192
Sm 0.474 0.000 4.708
Sm 10.611 0.000 0.940
Tm 5.543 3.158 2.824
Tm 6.781 0.000 0.000
Tm 5.543 -3.158 2.824

(2)
10
Lattice="5.816 -3.403 0.000 5.816 3.403 0.000 -2.885 0.000 8.776" Properties=species:S:1:pos:R:3 comment="Pr3Sm6Tm (PBE, relaxed)" rho_g_cm3=7.1 formation_energy_ev_per_atom=0.22 relative_energy_mev_per_atom=82 space_group=C2/m pbc="T T T"
Pr 0.000 0.000 0.000
Pr -1.068 0.000 5.877
Pr 9.815 0.000 2.898
Sm 1.612 1.759 6.114
Sm 4.131 0.000 0.720
Sm 7.135 1.759 2.662
Sm 1.612 -1.759 6.114
Sm 4.616 0.000 8.056
Sm 7.135 -1.759 2.662
Tm 4.373 0.000 4.388

(3)
19
Lattice="7.932 -4.658 0.000 7.932 4.658 0.000 -0.127 0.000 8.659" Properties=species:S:1:pos:R:3 comment="Pr2Sm12Tm5 (PBE, relaxed)" rho_g_cm3=7.6 formation_energy_ev_per_atom=0.13 relative_energy_mev_per_atom=16 space_group=C2/m pbc="T T T"
Pr 7.932 2.999 0.000
Pr 7.932 -2.999 0.000
Sm 0.963 0.000 2.905
Sm 5.895 2.862 2.951
Sm 5.361 1.683 6.589
Sm 9.842 2.862 5.708
Sm 6.465 0.000 1.022
Sm 10.376 1.683 2.071
Sm 5.361 -1.683 6.589
Sm 9.272 0.000 7.638
Sm 5.895 -2.862 2.951
Sm 10.376 -1.683 2.071
Sm 9.842 -2.862 5.708
Sm 14.774 0.000 5.754
Tm 3.148 0.000 0.141
Tm 4.226 0.000 3.708
Tm 7.869 0.000 4.330
Tm 11.511 0.000 4.952
Tm 12.589 0.000 8.519